Pike, Brigid
Mental health and well-being of LGBT people the role of alcohol and drugs.
Between two parts of the piece: records of molecules:
Formula: C56H43AsBr3ClN3O5STeW
Source: the OMol25 dataset
Level of theory: ωB97M-V/def2-TZVPD

## Properties
highest occupied orbital energy (alpha / beta) = -8.90 / -8.90 eV
molecular weight = 1531.57 u

Structure (ORCA input):
```
! wB97M-V def2-TZVPD RIJCOSX def2/J DEFGRID3
* xyz 1 1
W 1.38833 -0.69716 -0.03499
C 2.22885 -2.10937 -3.42102
C 1.92002 -0.64453 -3.40584
C 2.02300 0.09647 -4.56015
C 1.78466 1.47231 -4.57866
C 1.55831 2.12034 -3.35933
C 1.37043 3.51274 -3.17744
Br 1.40963 4.67298 -4.68416
C 1.11986 4.08296 -1.94156
C 1.16650 3.29380 -0.81008
Br 0.75902 3.95197 0.92469
C 1.45522 1.92526 -0.92848
O 1.62558 1.13420 0.15692
C 1.52820 1.31723 -2.18819
N 1.55873 -0.07561 -2.19320
H 2.32892 -2.46505 -4.44465
H 1.44647 -2.70910 -2.93138
H 3.17338 -2.29807 -2.90311
H 2.29854 -0.40491 -5.47325
H 1.82510 2.03233 -5.49526
H 0.90050 5.13453 -1.86445
S 2.68170 -2.84723 -0.33174
C 1.64754 -4.26567 -0.47218
C 2.20395 -5.53388 -0.29565
C 1.42236 -6.66242 -0.41884
C 0.07423 -6.53982 -0.72558
C -0.48805 -5.28634 -0.89675
C 0.28380 -4.12962 -0.77776
As -0.40056 -2.26061 -0.93518
C -1.45527 -2.49475 -2.66857
C -1.06437 -1.83542 -3.83295
C -1.74119 -2.03485 -5.02615
C -2.83470 -2.88156 -5.07475
C -3.26818 -3.50455 -3.91476
C -2.58718 -3.31328 -2.72432
C -2.03013 -2.52104 0.20978
C -3.14446 -1.70358 -0.00131
C -4.23953 -1.76301 0.84180
C -4.25174 -2.65760 1.89985
C -3.17725 -3.50946 2.08734
C -2.07011 -3.44098 1.25484
H 3.25412 -5.60723 -0.06107
H 1.86493 -7.63311 -0.25879
H -0.53809 -7.42161 -0.82525
H -1.54460 -5.19194 -1.11395
H -0.23462 -1.14285 -3.81581
H -1.40376 -1.52755 -5.91851
H -3.35107 -3.04780 -6.00712
H -4.13910 -4.14247 -3.93379
H -2.95107 -3.77542 -1.81434
H -3.14568 -1.02792 -0.85174
H -5.08422 -1.11252 0.67965
H -5.10143 -2.69714 2.56344
H -3.20054 -4.23479 2.88552
H -1.23685 -4.11885 1.40488
C 1.24460 -2.49008 2.49172
O 0.90280 -1.51279 1.54610
C -0.66827 0.24155 0.49963
C -1.12373 0.45850 1.80211
C -2.16505 1.33912 2.07073
Br -2.72905 1.58914 3.86627
C -2.81282 2.00101 1.05554
C -2.44991 1.76364 -0.27358
C -1.38423 0.89202 -0.51087
O -0.98538 0.53207 -1.79617
C -3.19715 2.47981 -1.28850
N -3.89183 3.53961 -0.97644
C -4.47887 3.97118 -2.12753
C -5.33067 5.04952 -2.34930
C -5.81091 5.22565 -3.62829
C -5.44531 4.36925 -4.67411
C -4.58519 3.30623 -4.48210
C -4.11518 3.11319 -3.19363
N -3.27447 2.17493 -2.63637
H 1.06561 -3.49208 2.07708
H 0.63306 -2.36681 3.39227
H 2.30730 -2.40320 2.75812
H -0.71574 -0.10053 2.64278
H -3.63036 2.67811 1.23901
H -1.22859 1.22237 -2.42970
H -5.59692 5.70571 -1.53594
H -6.48820 6.04202 -3.83291
H -5.85019 4.54420 -5.65842
H -4.29979 2.65465 -5.29484
H -2.99074 1.31989 -3.08908
Cl 4.52245 2.14096 1.32822
C 5.12981 0.65359 0.57203
C 3.90804 -0.19297 0.35988
O 3.45951 -0.34413 -0.79899
O 3.25667 -0.66725 1.33045
H 5.85144 0.19367 1.24380
H 5.57172 0.91155 -0.38882
Te 1.92280 0.95167 2.84351
C 1.82302 2.81259 3.94433
C 0.84882 2.90227 4.92663
C 0.65027 4.10061 5.59284
C 1.41877 5.20846 5.27895
Drugnet Ireland,
Issue 30, Summer 2009,
p. 20.
== Unrelated to this entry: quantum chemistry results ==
********
[1]
# C19H13IN4O2S

C19H13IN4O2S in the gas phase at a distorted geometry (the ωB97M-V functional and the def2-TZVPD basis, OMol25).

The geometry in ORCA input format:
```
! RIJCOSX wB97M-V def2-TZVPD def2/J DEFGRID3
* xyz 0 1
N -2.798 1.340 1.870
C -2.143 0.738 1.127
C -1.433 -0.008 0.091
C -0.668 -1.044 0.545
N -0.350 -1.254 1.900
C 0.576 -0.425 2.589
C 1.311 0.503 1.918
C 2.301 1.270 2.559
C 2.369 1.281 3.954
I 3.555 2.812 5.119
C 1.609 0.219 4.610
C 0.697 -0.635 3.971
N -0.042 -1.822 -0.289
C -0.156 -1.615 -1.592
S 0.808 -2.825 -2.492
C 2.271 -2.956 -1.357
C 3.156 -1.721 -1.497
O 2.477 -0.730 -0.749
C -0.920 -0.662 -2.171
C -1.101 -0.632 -3.626
N -1.019 -0.422 -4.731
C -1.728 0.170 -1.286
C -2.746 1.242 -1.766
C -2.476 2.078 -2.817
C -3.591 2.974 -2.932
C -4.322 2.777 -1.734
O -3.903 1.723 -1.059
H -0.667 -2.145 2.245
H 1.250 0.550 0.833
H 2.905 2.025 2.194
H 1.636 0.260 5.666
H 0.073 -1.341 4.482
H 2.020 -3.170 -0.358
H 2.812 -3.776 -1.680
H 4.112 -1.980 -1.205
H 3.144 -1.362 -2.535
H 1.570 -0.468 -0.992
H -1.650 1.964 -3.562
H -3.812 3.660 -3.755
H -5.128 3.406 -1.488
*
```

Its energy above the lowest of the compared OMol25 structures with the same formula, charge and spin is 59.9 kcal/mol. The value obtained for the LUMO energy is -0.0370 Ha. The SMILES is N#Cc1c(Nc2ccc(I)cc2)nc(SCCO)c(C#N)c1-c1ccco1. For the HOMO energy, the calculation gives -8.37 eV.

[2]
# C19H14BF9MgN6O7S2

A molecular structure, C19H14BF9MgN6O7S2 (the ωB97M-V functional and the def2-TZVPD basis, OMol25).

The geometry in ORCA input format:
```
! RIJCOSX wB97M-V def2-TZVPD def2/J DEFGRID3
* xyz -2 1
Mg -0.637 -0.108 0.239
C 0.890 -1.346 -3.613
C -0.168 -0.857 -2.844
N 0.023 -1.127 -1.559
N 1.210 -1.765 -1.473
C 1.750 -1.901 -2.688
B 1.800 -2.149 -0.112
N 2.201 -0.901 0.702
C 3.400 -0.589 1.205
C 3.288 0.592 1.911
C 1.944 0.943 1.772
N 1.302 0.041 1.044
N 0.712 -2.911 0.692
C 0.748 -4.165 1.159
C -0.397 -4.388 1.900
C -1.091 -3.172 1.827
N -0.419 -2.294 1.095
H 1.033 -1.256 -4.675
H -1.027 -0.281 -3.152
H 2.718 -2.360 -2.803
H 2.764 -2.854 -0.262
H 4.249 -1.223 1.013
H 4.068 1.136 2.414
H 1.414 1.806 2.141
H 1.591 -4.800 0.938
H -0.689 -5.288 2.413
H -2.011 -2.866 2.299
O -4.177 1.053 2.193
S -3.183 0.037 1.982
O -3.188 -1.038 2.958
O -1.811 0.550 1.749
C -3.572 -0.759 0.397
C -4.133 -2.027 0.500
C -4.449 -2.771 -0.626
C -4.220 -2.239 -1.881
C -3.690 -0.963 -1.999
C -3.350 -0.209 -0.880
S -2.721 1.466 -1.246
O -2.920 1.624 -2.671
O -3.468 2.350 -0.395
O -1.275 1.390 -0.922
H -4.306 -2.422 1.491
H -4.864 -3.766 -0.516
H -4.452 -2.809 -2.773
H -3.542 -0.511 -2.969
F 5.430 1.501 -0.731
C 4.947 1.094 -1.925
F 5.874 1.465 -2.849
F 4.961 -0.246 -1.900
C 3.472 1.635 -2.174
O 2.589 0.907 -1.574
C 3.458 3.139 -1.691
F 4.591 3.840 -1.985
F 2.442 3.820 -2.250
F 3.298 3.218 -0.367
C 3.264 1.655 -3.741
F 3.679 0.488 -4.290
F 3.935 2.637 -4.404
F 1.978 1.792 -4.057
*
```
********
On 2 February 2009an exploratory study of the mental health and well-being of lesbian, gay, bisexual and transgender (LGBT) people in Ireland was published. Commissioned by the Gay and Lesbian Equality Network (GLEN) and BeLonG To Youth Services, and funded by the Health Service Executive's National Office for Suicide Prevention, the research was undertaken by a team of researchers from TCD, UCD and UCC.1
The purpose of the study was to examine mental health and well-being, including an investigation of suicide vulnerability (risk) and resilience, among LGBT people in Ireland, and to make recommendations on policy, service delivery and practice related to mental health promotion and suicide prevention.
The researchers used the 'minority stress model' to aid their understanding of the negative impacts on health and well-being caused by a stigmatising social context. External stressors were found to include presumed heterosexuality, homophobia, prejudice and victimisation; internal stressors related to the anxiety of coming out. Negative reactions from others when an individual 'came out' to them also featured, as did the stress of self-concealment.
The findings on mental health indicators suggested that the stigma and discrimination encountered by LGBT people can result in an extremely negative experience of being LGBT. Many participants in the study described having experienced depression, and a significant minority reported engaging in self-injurious behaviour, including hazardous drinking or problem alcohol use, and suicidal thoughts.
The 'resilience narratives' of LGBT individuals were explored, with special reference to self and others, and also in relation to the social environments or contexts where LGBT people interact. Four key sources of social resilience were discerned - friends, family, the LGBT community, school and the work place.
With regard to 'self-resilience', the researchers found evidence to suggest that resilience is an ongoing and emerging process rather than simply a trait possessed by some LGBT individuals and not by others. Positive life experiences and turning points were observed to have led to greater self-esteem and self-efficacy among participants. Many also identified 'coping strategies' that they used to alleviate stress. Six of the 20 coping strategies listed in the survey instrument related to the use of licit and illicit substances, and participants (N=1,110) identified using these strategies as follows:
- drink alcohol to get drunk 28.2% (n=313)
- drink alcohol (not to get drunk) 25.5% (n=283)
# Someone pasted calculated molecules at this point
[1]
{
  "formula": "C16H31Cl12N",
  "method": "ωB97M-V/def2-TZVPD",
  "fmax_ha_per_bohr": 0.035,
  "lumo_energy_ev": 0.161,
  "charge": 0,
  "orbital_gap_ev": 10.4,
  "smiles": "CCCC#N.ClCCCl.ClCCCl.ClCCCl.ClCCCl.ClCCCl.ClCCCl",
  "de_lowest_kcal_mol": 34.4,
  "elements": ["C", "C", "C", "C", "N", "H", "H", "H", "H", "H", "H", "H", "Cl", "C", "C", "Cl", "H", "H", "H", "H", "Cl", "C", "C", "Cl", "H", "H", "H", "H", "Cl", "C", "C", "Cl", "H", "H", "H", "H", "Cl", "C", "C", "Cl", "H", "H", "H", "H", "Cl", "C", "C", "Cl", "H", "H", "H", "H", "Cl", "C", "C", "Cl", "H", "H", "H", "H"],
  "xyz": [[-1.80, -5.48, -2.42], [-2.20, -4.36, -1.44], [-0.99, -3.59, -0.92], [-0.08, -4.27, -0.01], [0.63, -4.75, 0.75], [-0.96, -6.05, -2.02], [-1.29, -5.03, -3.28], [-2.65, -6.08, -2.72], [-2.60, -4.83, -0.54], [-2.95, -3.73, -1.90], [-1.38, -2.68, -0.45], [-0.36, -3.18, -1.72], [5.75, -0.07, 2.60], [4.53, 0.43, 1.41], [4.94, 0.10, -0.03], [6.37, 1.06, -0.46], [4.26, 1.47, 1.50], [3.67, -0.19, 1.69], [4.15, 0.43, -0.69], [5.18, -0.96, -0.11], [-3.05, 1.08, 6.62], [-1.52, 2.04, 6.62], [-1.50, 2.92, 5.36], [-1.36, 1.94, 3.91], [-0.66, 1.40, 6.76], [-1.58, 2.69, 7.49], [-0.60, 3.53, 5.43], [-2.37, 3.56, 5.40], [2.41, -3.42, 3.76], [2.73, -4.19, 2.21], [2.94, -3.15, 1.14], [3.56, -3.80, -0.42], [1.95, -4.90, 1.96], [3.66, -4.75, 2.35], [3.77, -2.53, 1.49], [2.07, -2.52, 0.98], [0.14, 6.99, -4.00], [0.25, 5.52, -3.02], [0.20, 5.87, -1.55], [1.79, 6.52, -1.00], [1.19, 4.99, -3.24], [-0.50, 4.81, -3.37], [0.01, 4.98, -0.94], [-0.55, 6.61, -1.29], [-3.09, -0.37, -2.27], [-3.80, 0.98, -3.19], [-4.06, 0.47, -4.60], [-4.47, 1.84, -5.68], [-3.01, 1.73, -3.23], [-4.72, 1.30, -2.72], [-4.90, -0.21, -4.60], [-3.15, -0.01, -4.95], [-0.43, 1.84, -2.05], [-0.70, 1.94, -0.28], [-0.46, 0.59, 0.35], [1.25, 0.10, 0.25], [-1.74, 2.25, -0.14], [-0.07, 2.73, 0.11], [-1.03, -0.11, -0.26], [-0.83, 0.50, 1.37]]
}

[2]
{
  "formula": "C16H31Cl2F5N3O7PS",
  "method": "ωB97M-V/def2-TZVPD",
  "fmax_ha_per_bohr": 0.038,
  "lumo_energy_ev": 0.310,
  "charge": 0,
  "orbital_gap_ev": 9.4,
  "smiles": "NC[C@@H](OCP(O)Cl)[C@@H](CCCCl)OCS(=O)(=O)C(F)(F)C(F)(F)F.CNC(C)=O.CNC(C)=O",
  "elements": ["N", "C", "C", "O", "C", "P", "O", "Cl", "C", "C", "C", "C", "Cl", "O", "C", "S", "O", "O", "C", "F", "F", "C", "F", "F", "F", "H", "H", "H", "H", "H", "H", "H", "H", "H", "H", "H", "H", "H", "H", "H", "H", "H", "C", "N", "C", "C", "O", "H", "H", "H", "H", "H", "H", "H", "C", "N", "C", "C", "O", "H", "H", "H", "H", "H", "H", "H"],
- smoke cigarettes 24.5% (n=272)
- take medication prescribed by a doctor/psychiatrist (e.g. anti-depressants) 17.3% (n=192)
- take prescription drugs (without advice of a doctor or medical worker) 12.3% (n=136)
- take illegal drugs 10.0% (n=111)
The researchers concluded that social and structural factors play a significant role in determining the mental health of LGBT people. Their recommendations therefore focused on measures to achieve institutional and social change. For example:
- the needs of LGBT people should be integrated into all health policies and strategies, including policies and strategies on alcohol and drug (mis)use;
- health, mental health and social services should be provided in a way that is accessible and appropriate to LGBT people;
- specific attention should be paid to the needs of transgender people within health policy;
- health professionals should be trained both to understand how an LGBT identity is a potential risk factor for self-harm, suicidal behaviour and depression, and to have cultural competency specific to the LGBT population;
- LGBT-specific groups and organisations nationally, and front-line responses such as the voluntary LGBT helplines throughout the country, should be resourced to engage in mental health promotion and suicide prevention work.
The researchers identified opportunities for positive intervention and change at the personal and interpersonal levels in the education and youth-work sectors, and within families. They recommended, for example, increasing the recognition of LGBT needs and issues in the SPHE (Social, Personal and Health Education) curriculum and in early-school-leaving policies and programmes, and increasing awareness, training and resourcing of teachers, youth workers and family members who work with LGBT young people, in order to ensure they can support them in developing confidence and self-esteem.
With regard to research, the authors recommended that, in future, all national administrative databases, general population surveys, and longitudinal and other large-scale survey research on children, young people and families should, as a matter of course, include items that can capture, or questions on, sexual orientation, gender identity and same-sex partnership and cohabitation.
1. Mayock P, Bryan A, Carr N and Kitching K(2009)
Supporting LGBT lives: a study of the mental health and well-being of lesbian, gay, bisexual and transgender people. Dublin: National Office for Suicide Prevention. Retrieved on 25 April 2009 at
www.tcd.ie/childrensresearchcentre. The research adopted a multi-modal approach, including the administration of a primarily quantitative on-line survey, and the conduct of a community assessment process and of in-depth individual interviews with 40 individuals who identified as LGBT.